# Request
The reader should copy the block below verbatim.

# Material
/*
# 1
*/

# Worked solution
# 1